Assess how well you are building your team
As a leader, it’s your job to manage your team.
Misplaced calculated crystals >
┌──
Entry 1:
Ho3ReO8: optimized geometry, meta-GGA r2SCAN.

Cell: 7.1580 5.9826 14.3000 Å, 90.00 111.38 90.00°
Element x y z (fractional)
1 Ho 0.0939 0.2424 0.2022
2 Ho 0.0939 0.2576 0.7022
3 Ho 0.1615 0.1999 0.4450
4 Ho 0.1615 0.3001 0.9450
5 Ho 0.3923 0.6899 0.3327
6 Ho 0.3923 0.8101 0.8327
7 Ho 0.6077 0.1899 0.1673
8 Ho 0.6077 0.3101 0.6673
9 Ho 0.8385 0.6999 0.0550
10 Ho 0.8385 0.8001 0.5550
11 Ho 0.9061 0.7424 0.2978
12 Ho 0.9061 0.7576 0.7978
13 Re 0.3209 0.7459 0.0897
14 Re 0.3209 0.7541 0.5897
15 Re 0.6791 0.2459 0.4103
16 Re 0.6791 0.2541 0.9103
17 O 0.0821 0.6937 0.9789
18 O 0.0821 0.8063 0.4789
19 O 0.1477 0.0279 0.8429
20 O 0.1477 0.4721 0.3429
21 O 0.1655 0.6472 0.1708
22 O 0.1655 0.8528 0.6708
23 O 0.1888 0.5280 0.8270
24 O 0.1888 0.9720 0.3270
25 O 0.2477 0.0470 0.0958
26 O 0.2477 0.4530 0.5958
27 O 0.3795 0.0545 0.5888
28 O 0.3795 0.4455 0.0888
29 O 0.4652 0.2026 0.7854
30 O 0.4652 0.2974 0.2854
31 O 0.4783 0.6973 0.5184
32 O 0.4783 0.8027 0.0184
33 O 0.5217 0.1973 0.9816
34 O 0.5217 0.3027 0.4816
35 O 0.5348 0.7026 0.7146
36 O 0.5348 0.7974 0.2146
37 O 0.6205 0.5545 0.9112
38 O 0.6205 0.9455 0.4112
39 O 0.7523 0.5470 0.4042
40 O 0.7523 0.9530 0.9042
41 O 0.8112 0.0280 0.6730
42 O 0.8112 0.4720 0.1730
43 O 0.8345 0.1472 0.3292
44 O 0.8345 0.3528 0.8292
45 O 0.8523 0.5279 0.6571
46 O 0.8523 0.9721 0.1571
47 O 0.9179 0.1937 0.5211
48 O 0.9179 0.3063 0.0211

Calculated values
- final energy (eV for the cell shown) = -945.8
- ΔE_f (eV per formula unit) = -37.618

***

Entry 2:
SrRhF6: optimized geometry, meta-GGA r2SCAN.

Cell: 4.7631 4.7631 4.7631 Å, 98.34 98.34 98.34°
Element x y z (fractional)
1 Sr 0.0000 0.0000 0.0000
2 Rh 0.5000 0.5000 0.5000
3 F 0.2093 0.2093 0.5719
4 F 0.2093 0.5719 0.2093
5 F 0.4281 0.7907 0.7907
6 F 0.5719 0.2093 0.2093
7 F 0.7907 0.4281 0.7907
8 F 0.7907 0.7907 0.4281

Calculated values
- final energy (eV for the cell shown) = -79.3
- ΔE_f (eV per formula unit) = -21.308

***

Entry 3:
MnP2O7: optimized geometry, meta-GGA r2SCAN.

Cell: 4.8893 6.5298 8.0425 Å, 68.12 88.21 88.29°
Element x y z (fractional)
1 Mn 0.2404 0.2112 0.2318
2 Mn 0.7596 0.7888 0.7682
3 P 0.2439 0.1056 0.6642
4 P 0.2787 0.4570 0.8136
5 P 0.7213 0.5430 0.1864
6 P 0.7561 0.8944 0.3358
7 O 0.0530 0.9469 0.2777
8 O 0.0887 0.6538 0.7319
9 O 0.1710 0.2877 0.9881
10 O 0.2900 0.3405 0.6723
11 O 0.3070 0.1386 0.4725
12 O 0.4290 0.4769 0.1769
13 O 0.4401 0.9417 0.7935
14 O 0.5599 0.0583 0.2065
15 O 0.5710 0.5231 0.8231
16 O 0.6930 0.8614 0.5275
17 O 0.7100 0.6595 0.3277
18 O 0.8290 0.7123 0.0119
19 O 0.9113 0.3462 0.2681
20 O 0.9470 0.0531 0.7223

Calculated values
- energy relative to the lowest polymorph listed for this composition (meV/atom) = 8
- final energy (eV for the cell shown) = -193.9
- ΔE_f (eV per formula unit) = -22.477

***

Entry 4:
Cs2TlCl5: optimized geometry, meta-GGA r2SCAN.

Cell: 9.4184 7.5297 15.0714 Å, 90.00 90.00 90.00°
Element x y z (fractional)
1 Cs 0.0316 0.2500 0.2026
2 Cs 0.1757 0.7500 0.4216
3 Cs 0.3243 0.2500 0.9216
└──
End of the calculated crystals >
Unfortunately, most leaders are never taught this skill.
So, for the next few weeks, I’m going to do a three-part series on team management skills.
Whether you are new to leadership or have been a leader for twenty years, this skill set requires constant development. It’s multifaceted and has become more complex today as you learn to manage a hybrid team.
I thought I’d start this series with an assessment.
Let’s see how you are doing right now. What’s working? What are your key areas for development?
Below is a checklist of the most critical team management skills.
### Calculated crystals that have nothing to do with the text
=====
# 1
VASP calculation (GGA-PBE) on a relaxed structure of LaI.

a = 3.9707 Å, b = 3.9707 Å, c = 9.7502 Å
α = 90.00°, β = 90.00°, γ = 120.00°
Positions (direct):
La: 0.0000 0.0000 0.0000
La: 0.0000 0.0000 0.5000
I: 0.3333 0.6667 0.2500
I: 0.6667 0.3333 0.7500

Total energy ... -4.306 eV per atom
Space-group type ... P6_3/mmc
Calculated density ... 6.631 Mg/m³
Formation energy ... -1.266 eV/atom

# 2
VASP calculation (GGA-PBE) on a relaxed structure of NaLa4I7N2.

a = 14.4664 Å, b = 11.3363 Å, c = 12.1587 Å
α = 90.00°, β = 90.00°, γ = 90.00°
Positions (direct):
Na: 0.0923 0.0478 0.0000
Na: 0.4077 0.5478 0.5000
Na: 0.5923 0.4522 0.0000
Na: 0.9077 0.9522 0.5000
La: 0.0839 0.3765 0.3234
La: 0.0864 0.6216 0.5586
La: 0.0879 0.3931 0.8012
La: 0.1027 0.5862 0.0650
La: 0.3973 0.0862 0.5650
La: 0.4121 0.8931 0.3012
La: 0.4136 0.1216 0.0586
La: 0.4161 0.8765 0.8234
La: 0.5839 0.1235 0.3234
La: 0.5864 0.8784 0.5586
La: 0.5879 0.1069 0.8012
La: 0.6027 0.9138 0.0650
La: 0.8973 0.4138 0.5650
La: 0.9121 0.6069 0.3012
La: 0.9136 0.3784 0.0586
La: 0.9161 0.6235 0.8234
I: 0.0184 0.8481 0.7045
I: 0.0278 0.1892 0.5354
I: 0.0505 0.8203 0.3584
I: 0.2002 0.3144 0.0445
I: 0.2245 0.6281 0.8320
I: 0.2350 0.4021 0.5737
I: 0.2479 0.5742 0.2845
I: 0.2521 0.0742 0.7845
I: 0.2650 0.9021 0.0737
I: 0.2755 0.1281 0.3320
I: 0.2998 0.8144 0.5445
I: 0.4495 0.3203 0.8584
I: 0.4722 0.6892 0.0354
I: 0.4816 0.3481 0.2045
I: 0.5184 0.6519 0.7045
I: 0.5278 0.3108 0.5354
I: 0.5505 0.6797 0.3584
I: 0.7002 0.1856 0.0445
I: 0.7245 0.8719 0.8320
I: 0.7350 0.0979 0.5737
I: 0.7479 0.9258 0.2845
I: 0.7521 0.4258 0.7845
I: 0.7650 0.5979 0.0737
I: 0.7755 0.3719 0.3320
I: 0.7998 0.6856 0.5445
I: 0.9495 0.1797 0.8584
I: 0.9722 0.8108 0.0354
I: 0.9816 0.1519 0.2045
N: 0.0031 0.4877 0.1875
N: 0.0032 0.4955 0.9365
N: 0.4969 0.9877 0.6875
N: 0.4968 0.9955 0.4365
N: 0.5032 0.0045 0.9365
N: 0.5031 0.0123 0.1875
N: 0.9968 0.5045 0.4365
N: 0.9969 0.5123 0.6875

Total energy ... -5.051 eV per atom
Spin magnetization ... 0.0 μB/cell
Space-group type ... Pna2_1
Calculated density ... 4.980 Mg/m³
Formation energy ... -1.645 eV/atom

Copy entry 1 word for word.
VASP calculation (GGA-PBE) on a relaxed structure of LaI.

a = 3.9707 Å, b = 3.9707 Å, c = 9.7502 Å
α = 90.00°, β = 90.00°, γ = 120.00°
Positions (direct):
La: 0.0000 0.0000 0.0000
La: 0.0000 0.0000 0.5000
I: 0.3333 0.6667 0.2500
I: 0.6667 0.3333 0.7500

Total energy ... -4.306 eV per atom
Space-group type ... P6_3/mmc
Calculated density ... 6.631 Mg/m³
Formation energy ... -1.266 eV/atom

~~~~~

The following is a DFT calculation (GGA-PBE) of an optimized crystal structure of TiSi2O6.

Unit cell a=5.3239 b=8.8894 c=18.2132 alpha=90.00 beta=90.00 gamma=90.00
Fractional coordinates of all 72 atoms:
1 Ti 0.6179 0.6382 0.1262
2 Ti 0.1179 0.8618 0.1262
3 Ti 0.1179 0.3618 0.3738
4 Ti 0.6179 0.1382 0.3738
5 Ti 0.3821 0.8618 0.6262
6 Ti 0.8821 0.6382 0.6262
7 Ti 0.3821 0.3618 0.8738
8 Ti 0.8821 0.1382 0.8738
9 Si 0.6935 0.3316 0.0244
10 Si 0.1935 0.1684 0.0244
=====
Take a minute to:
- Go through the list and put a checkmark beside the areas you are currently implementing well.
- Identify which items remain blank without a checkmark beside them. These areas represent gaps in your team management skills.
Team Management Assessment
- I make time to coach my team on a regular basis.
- I have a process in place to develop the skills and abilities of the people on my team.
- I effectively and regularly deliver positive feedback.
- I quickly and efficiently provide constructive feedback and manage poor performance when necessary.
- I adapt my communication style to meet the needs of the people on my team.
- I effectively implement the steps to develop a high-performing, engaged team.
- I run productive team meetings.
- - -
Re3S7Cl7: relaxed, GGA-PBE.

Geometry as POSCAR:
```
Re3S7Cl7
1.0
9.741 0.000 0.000
-4.870 8.436 0.000
0.000 0.000 22.764
Re S Cl
12 28 28
Cartesian
-3.864 7.223 0.000 Re
0.547 1.478 0.000 Re
-0.995 4.396 17.368 Re
1.007 1.213 11.382 Re
-0.566 7.100 17.368 Re
1.561 5.376 17.368 Re
4.305 1.336 5.986 Re
3.875 4.040 5.986 Re
3.317 8.170 0.000 Re
6.431 3.060 5.986 Re
8.187 0.265 11.382 Re
5.417 6.958 11.382 Re
0.000 0.000 9.630 S
0.000 0.000 21.012 S
-0.626 1.704 13.046 S
-0.986 2.658 11.243 S
-2.795 6.063 17.535 S
-3.082 8.126 13.046 S
-1.796 5.913 15.725 S
1.789 0.310 1.664 S
-2.076 7.960 11.243 S
1.017 2.984 17.535 S
0.648 3.924 15.725 S
2.795 0.476 22.625 S
0.000 5.624 19.147 S
2.075 2.373 6.153 S
3.075 2.523 4.343 S
1.148 7.035 15.725 S
1.778 7.825 17.535 S
4.870 2.812 7.765 S
3.061 6.253 11.243 S
6.019 1.401 4.343 S
6.648 0.611 6.153 S
3.885 5.778 22.625 S
3.708 7.042 13.046 S
5.518 4.512 4.343 S
4.244 6.732 1.664 S
5.888 5.452 6.153 S
7.932 2.183 22.625 S
8.578 1.394 1.664 S
0.000 0.000 3.680 Cl
0.000 0.000 15.062 Cl
-1.657 3.259 7.670 Cl
-2.966 5.985 20.929 Cl
-1.368 3.487 4.581 Cl
-2.487 5.696 1.220 Cl
1.171 2.875 20.929 Cl
1.181 3.434 1.220 Cl
0.000 5.624 13.721 Cl
1.904 2.451 9.547 Cl
-1.167 7.877 4.581 Cl
-1.219 8.241 7.670 Cl
3.651 0.195 19.052 Cl
2.384 2.740 12.602 Cl
3.704 0.559 15.963 Cl
2.535 5.508 4.581 Cl
1.306 7.742 1.220 Cl
2.876 5.371 7.670 Cl
3.214 5.177 19.052 Cl
3.502 4.949 15.963 Cl
1.796 8.012 20.929 Cl
4.870 2.812 2.339 Cl
6.176 0.694 12.602 Cl
6.666 0.423 9.547 Cl
6.051 5.002 12.602 Cl
7.405 2.928 15.963 Cl
6.041 5.561 9.547 Cl
7.747 3.064 19.052 Cl
```

Properties
The calculation puts the total energy at -350.3 eV for the cell shown.



CaCeHg2: relaxed, GGA-PBE.

Geometry as POSCAR:
```
CaCeHg2
1.0
5.872 0.000 0.000
2.876 5.182 0.000
2.803 1.490 5.018
Ca Ce Hg
1 1 2
Cartesian
0.000 0.000 0.000 Ca
5.776 3.336 2.509 Ce
2.889 1.668 1.257 Hg
8.663 5.003 3.761 Hg
```

Properties
The calculation puts the total energy at -9.0 eV for the cell shown.



Ce4Sm: relaxed, GGA-PBE.

Geometry as POSCAR:
```
Ce4Sm
1.0
1.695 0.979 13.893
-1.695 0.979 13.893
0.000 -1.958 13.893
Ce Sm
4 1
Cartesian
0.000 0.000 4.039 Ce
0.000 0.000 12.532 Ce
0.000 0.000 29.148 Ce
0.000 0.000 37.641 Ce
0.000 0.000 20.840 Sm
```

Properties
The calculation puts the total energy at -28.1 eV for the cell shown.



NaY2Nb2P5SO24: relaxed, GGA-PBE.

Geometry as POSCAR:
```
NaY2Nb2P5SO24
1.0
8.996 0.000 0.000
4.490 7.808 0.000
0.006 0.104 23.410
Na Y Nb P S O
3 6 6 15 3 72
Cartesian
0.000 0.000 0.000 Na
4.505 7.850 11.608 Na
4.506 2.684 19.406 Na
4.492 7.888 20.069 Y
4.492 7.796 8.232 Y
4.474 2.651 4.327 Y
4.516 2.652 16.059 Y
8.963 5.249 12.247 Y
13.438 7.768 3.391 Y
4.497 2.697 22.882 Nb
4.525 2.560 11.094 Nb
8.984 5.293 18.916 Nb
8.995 5.201 0.482 Nb
9.042 5.219 7.403 Nb
9.020 0.127 15.155 Nb
1.875 2.609 1.819 P
5.825 5.669 17.564 P
3.110 0.467 13.611 P
5.813 4.858 1.815 P
6.384 5.181 9.762 P
7.799 7.524 21.453 P
5.776 0.333 1.830 P
7.083 2.534 13.607 P
- - -
- I consciously develop an open, respectful, and trusting environment.
- I proactively manage and de-escalate conflict amongst team members.
What did you notice now that you have completed the assessment?
What are you doing well?
What team management skills do you still need to improve or develop?
Developing these skills is critically important to the success of your team or business.
For example, if you don’t learn to coach, it is less likely that you will have a highly autonomous, self-motivated team.
If you don’t put a process in place to develop your people, you will never be able to delegate and get out of the weeds.
If you don’t know how to create a high-trust, engaged team, then you will never maximize your level of productivity.
Yes, it may feel onerous at first to spend time developing and implementing these team management skills.
But, over the last 20 years, I have worked with thousands of leaders to teach them exactly how to do this successfully.
These leaders are getting promoted quickly.
These leaders are feeling confident and in control of their workload.
These leaders are achieving results beyond their wildest dreams.
So, where can you start closing the gaps in your team management skills?
If you’re ready to close the gaps identified in this assessment, you can email me at
Share your key gaps with me.
Learn how one-on-one coaching can accelerate your learning and close these gaps quickly and effectively. No need to struggle alone anymore!